non-state pd

In the near future, Johannesburg, Cape Town and Durban may have their own top level domain names on the internet, which could spark innovative ways of promoting business and tourism in South Africa's main centres.

The initiative, titled the “Global Conversation,” uses digital media, mobile phone technology, and meet-ups to enable people from the world over to take part in setting priorities for the future global development agenda.

June 18, 2013

The only parts of the Palestinian territories with reliable mobile coverage are in major cities or Israeli settlements; high-speed mobile Internet is all but nonexistent. So here's an idea: Light up the West Bank with long-denied 3G wireless Internet connectivity and create an exception in the Arab League boycott of Israeli products for those that have Palestinian-controlled companies in their supply chains.

Scores of hand-woven carpets were laid across the plaza—a sea of red surging over the steps to the library in Mary. A Turkmen drill team, in white uniforms fringed with green, paraded on the sidewalk in preparation for National Carpet Day. The plastic sheeting stretched across the steps forced us to pick our way up the granite siding to the entrance.

In 2010, C.C.A. Lagos introduced its International Art Program, which brought more than a dozen artists and curators from across Africa to Lagos for four weeks of lectures, seminars, workshops and projects. This year, the third edition of the program was held from May to June in Accra, Ghana, beginning what Ms. Silva called a “roaming campus” that she hopes could next stop in Senegal and Mozambique.

Olympic sports will lose young fans and viewers unless the IOC sets up a television channel to broadcast events in the years between the games, IOC presidential candidate Thomas Bach said Friday. “Many Olympic sports do not appear enough across the world on TV,” Bach said. “If you do not see enough sports on TV and the internet, then these sports will lose more and more the kids and young athletes.”

Unrelated to this entry: calculated molecules >
-- begin --
{
  "formula": "C30H29AsFN4O8SbSe4Ti",
  "method": "wB97M-V/def2-TZVPD",
  "elements": ["Ti", "O", "C", "O", "C", "C", "C", "C", "C", "N", "C", "O", "O", "H", "H", "H", "C", "C", "C", "C", "C", "C", "C", "F", "C", "C", "C", "O", "C", "C", "N", "C", "C", "O", "O", "H", "H", "H", "H", "H", "H", "H", "H", "H", "H", "H", "C", "As", "C", "C", "H", "H", "H", "H", "H", "H", "H", "H", "H", "N", "C", "O", "C", "C", "C", "N", "C", "C", "H", "H", "H", "H", "H", "H", "Se", "Sb", "Se", "Se", "Se"],
  "positions_angstrom": [[-0.3480, -0.4712, 0.6998], [-0.6513, -1.5616, -3.2004], [-0.8539, -1.0290, -2.1287], [-0.0350, -1.0306, -1.1192], [-2.1247, -0.2970, -1.7962], [-2.9713, 0.3216, -2.6860], [-4.0449, 1.0358, -2.1684], [-4.2518, 1.0726, -0.7990], [-3.3369, 0.4377, 0.0226], [-2.2976, -0.2060, -0.4796], [-3.2645, 0.5523, 1.5342], [-4.2826, 0.6996, 2.2049], [-2.0568, 0.4980, 1.9261], [-2.7542, 0.2848, -3.7436], [-4.6879, 1.5980, -2.8334], [-5.0570, 1.6318, -0.3433], [2.5018, -7.1463, 0.4129], [2.6630, -6.3130, 1.6820], [4.0272, -6.4742, 2.3374], [5.1234, -5.9240, 1.4359], [4.7986, -4.5080, 1.0296], [5.8010, -3.6406, 0.6646], [5.5091, -2.3167, 0.3488], [6.5258, -1.5120, -0.0112], [4.2393, -1.8224, 0.4136], [3.2019, -2.6938, 0.7594], [1.8321, -2.2005, 0.8006], [1.5995, -0.9797, 0.6978], [0.7983, -3.1886, 1.0190], [1.1403, -4.4620, 1.3176], [2.4218, -4.8911, 1.3903], [3.4684, -4.0406, 1.0540], [-0.6280, -2.6806, 1.1382], [-1.5248, -3.0327, 0.3972], [-0.7148, -1.7702, 2.0718], [2.7382, -8.1939, 0.6095], [3.1560, -6.7753, -0.3770], [1.4760, -7.0843, 0.0488], [1.8987, -6.6153, 2.3990], [4.1937, -7.5263, 2.5712], [4.0266, -5.9185, 3.2787], [5.2363, -6.5579, 0.5514], [6.0812, -5.9373, 1.9575], [6.8285, -3.9829, 0.6268], [4.0217, -0.7849, 0.1890], [0.3839, -5.2032, 1.5451], [1.3376, 2.3932, 3.0042], [0.6480, 0.6044, 2.7491], [-0.5340, 0.5913, 4.2997], [2.1303, -0.4058, 3.5715], [1.7158, 2.4612, 4.0256], [0.5276, 3.1043, 2.8580], [2.1257, 2.6296, 2.2923], [0.0598, 0.7527, 5.2031], [-1.0208, -0.3813, 4.3479], [-1.3004, 1.3526, 4.2062], [2.3495, -0.0127, 4.5654], [3.0378, -0.3812, 2.9691], [1.8210, -1.4493, 3.6804], [6.4200, -0.0332, -4.5953], [6.1513, 0.9043, -3.6350], [6.9579, 1.7756, -3.3736], [4.8438, 0.7543, -2.9124], [4.6074, 1.5546, -1.8092], [3.4040, 1.4114, -1.1223], [2.4519, 0.5602, -1.4929], [2.6663, -0.1830, -2.5763], [3.8442, -0.1340, -3.3046], [7.2407, 0.1010, -5.1578], [5.7311, -0.6940, -4.8989], [5.3376, 2.2905, -1.5037], [3.1941, 2.0131, -0.2477], [1.8564, -0.8423, -2.8765], [3.9280, -0.7732, -4.1758], [-1.0540, 5.5478, 0.7879], [0.0900, 3.9554, -0.6803], [-0.0859, 1.6526, 0.2387], [2.4301, 4.7066, -0.7312], [-0.9030, 4.0449, -2.9256]],
-- stop --

Packer dismissively discusses Google's work on developing smart parking meters for San Francisco, but doesn't mention that the company has a former State Department staffer running an internal think tank working on topics ranging from media coverage of the Mexican drug war to human trafficking.

## Calculated molecules from another source follow
# 1
DFT (ωB97M-V with the def2-TZVPD basis set) results for a molecular structure, C22H27F5NPS3V.

Element x y z (Å)
C 4.30 3.18 -0.52
H -4.90 2.00 1.67
C 2.31 2.80 1.36
C 4.43 -1.78 -0.16
H -1.42 2.03 2.92
C -0.56 2.93 0.54
H -5.27 -1.98 -0.52
H 0.20 3.44 -0.06
H -5.26 0.81 -2.96
H -3.99 -0.26 1.65
C 1.11 2.60 2.25
C -4.63 1.87 -0.48
H -1.68 0.84 1.62
H -5.59 1.40 -0.69
C -0.93 1.31 2.26
S -0.16 -1.40 0.37
F 5.80 -2.70 1.54
H 0.75 3.55 2.66
C 3.34 -1.00 -0.51
H 4.95 4.80 0.73
F 4.10 -1.71 3.45
C 4.23 4.01 0.59
H -5.48 3.41 0.78
H 5.07 3.34 -1.27
H -5.47 -0.82 -2.33
H -1.12 3.68 1.11
C 3.86 -1.47 2.16
C -3.43 -0.10 -2.20
H 1.37 1.94 3.08
C -0.20 -1.28 -1.35
H 3.49 1.48 -1.52
F 1.90 -0.22 2.67
C 4.72 -1.99 1.18
H -5.63 -1.96 1.20
H -4.66 -0.57 -3.87
S -0.52 -2.52 -2.37
V 0.88 0.66 0.09
H -1.27 2.41 -0.11
F 5.21 -2.33 -1.10
C 2.78 -0.72 1.75
H 3.12 4.51 2.35
H -2.99 -1.10 -2.15
H -3.75 3.16 1.01
C 2.42 1.90 0.29
C -3.97 -0.72 0.65
N 0.08 1.95 1.42
H -0.45 0.53 2.86
F 3.05 -0.78 -1.82
C -5.32 -1.34 0.36
H -3.21 -1.51 0.68
H -6.09 -0.59 0.20
C -4.79 -0.17 -2.87
C 3.41 2.13 -0.66
H -2.76 0.52 -2.81
C 3.22 3.83 1.51
P -3.26 0.60 -0.47
C -4.69 2.66 0.83
C 2.50 -0.41 0.43
H -4.41 2.56 -1.31
S 0.11 0.35 -1.92

Summary:
<S²> = 0.77
Gap between HOMO and LUMO (alpha / beta) = 7.14 / 7.56 eV
Multiplicity = 2
Total charge = 0
HOMO (alpha / beta) = -8.2153 / -8.2147 eV
Total energy = -3888.42990 Ha
Lowest unoccupied orbital energy (alpha / beta) = -1.1 / -0.7 eV

---

# 2
DFT (ωB97M-V with the def2-TZVPD basis set) results for a molecular structure, C22H27F6N5O6ReSSbSe2.

Element x y z (Å)
H -1.66 1.91 -0.30
O 2.85 1.31 -7.65
H 1.60 2.29 -2.23
Re -1.01 -1.04 -0.11
C 2.25 2.21 -4.28
N 2.92 1.97 -6.63
H 2.83 3.12 -4.25
F 0.26 -4.68 -1.23
F 1.89 -3.06 -2.56
C 2.75 2.17 3.00
H 0.72 -3.77 3.24
O -0.79 -0.85 -2.22
H -5.05 -3.20 0.94
C 0.84 0.57 -3.26
H 0.14 4.00 1.75
C -4.94 1.50 -1.04
C 2.79 4.66 2.90
H -5.83 -2.46 -0.46
H 0.43 3.91 3.51
Se 1.89 0.56 2.30
F 2.97 -5.24 -1.26
N -2.34 -3.48 0.77
Se -0.17 1.66 2.63
F 3.28 -2.66 -0.35
C -2.63 1.45 -0.48
F 1.67 -4.31 0.97
Sb 1.87 -3.79 -0.83
C 2.15 3.40 2.31
H 1.35 2.00 0.07
C -5.00 0.14 -0.89
N -2.55 -2.29 0.15
C -0.09 -4.46 3.48
C 0.79 -0.16 -4.45
H -3.66 3.25 -0.92
H 2.64 4.46 0.49
C -4.91 -2.90 -0.10
C -0.71 -4.13 4.83
C 1.57 1.74 -3.17
C 2.47 3.43 0.80
O 1.45 2.96 -0.05
N -2.67 0.11 -0.33
S -0.77 -1.78 2.16
H 2.61 2.21 4.07
O 2.65 4.65 4.31
H 1.48 -0.25 -6.49
H 0.04 -4.17 5.61
C -3.74 2.18 -0.82
H 2.30 5.54 2.47
O 0.33 0.45 -0.90
H 0.23 -1.09 -4.48
H 3.85 4.69 2.62
N -1.05 -4.44 2.39
H -1.14 -3.12 4.82
H -4.70 -3.81 -0.66
H -1.51 -4.83 5.08
C -1.43 -3.35 1.72
C -3.84 -0.56 -0.52
C 0.64 3.45 2.55
H 0.34 -5.46 3.49

Both sides are motivated to seek peace. The FARC is a much-weakened military force kept alive with profits from drug trafficking and extortion, analysts say. For its part, the government sees resolving the half-century conflict as the key to opening up the country to more investment, infrastructure projects and social programs.
